~~~
[1]
A plane-wave DFT calculation with GGA-PBE was carried out for a relaxed SrPbS2O8 crystal.

Cell lengths 7.9862, 7.9862, 7.9862 Å; angles 37.80, 37.80, 37.80 degrees
Last column: nearest neighbours and their distance in Å.
Fractional positions:
Sr1 0.0000 0.0000 0.0000  6 O 2.59
Pb1 0.5000 0.5000 0.5000  12 O 2.79-2.99
S1 0.2425 0.2425 0.2425  4 O 1.49-1.50
S2 0.7575 0.7575 0.7575  4 O 1.49-1.50
O1 0.0295 0.4905 0.6856  1 S 1.50
O2 0.1754 0.1754 0.1754  1 S 1.49
O3 0.3144 0.9705 0.5095  1 S 1.50
O4 0.4905 0.6856 0.0295  1 S 1.50
O5 0.5095 0.3144 0.9705  1 S 1.50
O6 0.6856 0.0295 0.4905  1 S 1.50
O7 0.8246 0.8246 0.8246  1 S 1.49
O8 0.9705 0.5095 0.3144  1 S 1.50

Properties
The value obtained for the total magnetization is 0.00 μB per formula unit. For the formation energy from raw total energies, the calculation gives -1.806 eV per atom.

---

[2]
A plane-wave DFT calculation with GGA-PBE was carried out for a relaxed KYAsBr2 crystal.

Cell lengths 5.6829, 5.6829, 5.6037 Å; angles 90.00, 90.00, 90.00 degrees
Last column: nearest neighbours and their distance in Å.
Fractional positions:
K1 0.0000 0.0000 0.0000  8 Br 3.99, 4 As 4.02
Y1 0.5000 0.5000 0.5000  2 As 2.80, 4 Br 2.84
As1 0.5000 0.5000 0.0000  2 Y 2.80
Br1 0.0000 0.5000 0.5000  2 Y 2.84
Br2 0.5000 0.0000 0.5000  2 Y 2.84

Properties
The value obtained for the total magnetization is 1.00 μB per formula unit. For the energy above the most stable polymorph in this dataset, the calculation gives 0.00 kJ/mol of atoms. For the formation energy from raw total energies, the calculation gives -1.157 eV per atom.

---

[3]
A plane-wave DFT calculation with GGA-PBE was carried out for a relaxed FeIr6W crystal.

Cell lengths 5.4767, 5.4767, 3.8613 Å; angles 90.00, 90.00, 90.00 degrees
Last column: nearest neighbours and their distance in Å.
Fractional positions:
Fe1 0.0000 0.0000 0.0000  12 Ir 2.73-2.74
Ir1 0.0000 0.5000 0.0000  8 Ir 2.73, 2 W 2.74, 2 Fe 2.74
Ir2 0.2497 0.2497 0.5000  2 Fe 2.73, 8 Ir 2.73-2.74, 2 W 2.74
Ir3 0.2497 0.7503 0.5000  2 Fe 2.73, 8 Ir 2.73-2.74, 2 W 2.74
Ir4 0.5000 0.0000 0.0000  8 Ir 2.73, 2 W 2.74, 2 Fe 2.74
Ir5 0.7503 0.2497 0.5000  2 Fe 2.73, 8 Ir 2.73-2.74, 2 W 2.74
Ir6 0.7503 0.7503 0.5000  2 Fe 2.73, 8 Ir 2.73-2.74, 2 W 2.74
W1 0.5000 0.5000 0.0000  12 Ir 2.74

Properties
The value obtained for the total magnetization is 3.97 μB per formula unit. The energy of formation is -0.21 eV/atom.

---

[4]
A plane-wave DFT calculation with GGA-PBE was carried out for a relaxed CrRuC3 crystal.

Cell lengths 3.9154, 3.9154, 3.9154 Å; angles 90.00, 90.00, 90.00 degrees
Last column: nearest neighbours and their distance in Å.
Fractional positions:
Cr1 0.0000 0.0000 0.0000  12 C 2.77
Ru1 0.5000 0.5000 0.5000  6 C 1.96
C1 0.0000 0.5000 0.5000  2 Ru 1.96
C2 0.5000 0.0000 0.5000  2 Ru 1.96
C3 0.5000 0.5000 0.0000  2 Ru 1.96

Properties
The value obtained for the total magnetization is 0.14 μB per formula unit. For the energy above the most stable polymorph in this dataset, the calculation gives 35.64 kJ/mol of atoms. The energy of formation is 2.43 eV/atom.

---

[5]
A plane-wave DFT calculation with GGA-PBE was carried out for a relaxed Zr2AlHgMo crystal.

Cell lengths 5.2021, 5.2021, 5.0523 Å; angles 90.00, 90.00, 90.00 degrees
Last column: nearest neighbours and their distance in Å.
Fractional positions:
Zr1 0.0000 0.5000 0.0000  2 Hg 2.60
Zr2 0.5000 0.0000 0.0000  2 Hg 2.60
Al1 0.0000 0.0000 0.5000  8 Zr 3.63, 4 Mo 3.68
Hg1 0.5000 0.5000 0.0000  2 Mo 2.53, 4 Zr 2.60
Mo1 0.5000 0.5000 0.5000  2 Hg 2.53

Properties
The value obtained for the total magnetization is 2.13 μB per formula unit. The energy of formation is 1.40 eV/atom.

---

[6]
A plane-wave DFT calculation with GGA-PBE was carried out for a relaxed PrDy8Tm6 crystal.

Cell lengths 9.3666, 9.3666, 6.4573 Å; angles 90.00, 90.00, 120.00 degrees
Last column: nearest neighbours and their distance in Å.
Fractional positions:
Pr1 0.0000 0.0000 0.0000  6 Tm 3.58
~~~

Repeat all of the data further up word for word, please.

[1]
A plane-wave DFT calculation with GGA-PBE was carried out for a relaxed SrPbS2O8 crystal.

Cell lengths 7.9862, 7.9862, 7.9862 Å; angles 37.80, 37.80, 37.80 degrees
Last column: nearest neighbours and their distance in Å.
Fractional positions:
Sr1 0.0000 0.0000 0.0000  6 O 2.59
Pb1 0.5000 0.5000 0.5000  12 O 2.79-2.99
S1 0.2425 0.2425 0.2425  4 O 1.49-1.50
S2 0.7575 0.7575 0.7575  4 O 1.49-1.50
O1 0.0295 0.4905 0.6856  1 S 1.50
O2 0.1754 0.1754 0.1754  1 S 1.49
O3 0.3144 0.9705 0.5095  1 S 1.50
O4 0.4905 0.6856 0.0295  1 S 1.50
O5 0.5095 0.3144 0.9705  1 S 1.50
O6 0.6856 0.0295 0.4905  1 S 1.50
O7 0.8246 0.8246 0.8246  1 S 1.49
O8 0.9705 0.5095 0.3144  1 S 1.50

Properties
The value obtained for the total magnetization is 0.00 μB per formula unit. For the formation energy from raw total energies, the calculation gives -1.806 eV per atom.

---

[2]
A plane-wave DFT calculation with GGA-PBE was carried out for a relaxed KYAsBr2 crystal.

Cell lengths 5.6829, 5.6829, 5.6037 Å; angles 90.00, 90.00, 90.00 degrees
Last column: nearest neighbours and their distance in Å.
Fractional positions:
K1 0.0000 0.0000 0.0000  8 Br 3.99, 4 As 4.02
Y1 0.5000 0.5000 0.5000  2 As 2.80, 4 Br 2.84
As1 0.5000 0.5000 0.0000  2 Y 2.80
Br1 0.0000 0.5000 0.5000  2 Y 2.84
Br2 0.5000 0.0000 0.5000  2 Y 2.84

Properties
The value obtained for the total magnetization is 1.00 μB per formula unit. For the energy above the most stable polymorph in this dataset, the calculation gives 0.00 kJ/mol of atoms. For the formation energy from raw total energies, the calculation gives -1.157 eV per atom.

---

[3]
A plane-wave DFT calculation with GGA-PBE was carried out for a relaxed FeIr6W crystal.

Cell lengths 5.4767, 5.4767, 3.8613 Å; angles 90.00, 90.00, 90.00 degrees
Last column: nearest neighbours and their distance in Å.
Fractional positions:
Fe1 0.0000 0.0000 0.0000  12 Ir 2.73-2.74
Ir1 0.0000 0.5000 0.0000  8 Ir 2.73, 2 W 2.74, 2 Fe 2.74
Ir2 0.2497 0.2497 0.5000  2 Fe 2.73, 8 Ir 2.73-2.74, 2 W 2.74
Ir3 0.2497 0.7503 0.5000  2 Fe 2.73, 8 Ir 2.73-2.74, 2 W 2.74
Ir4 0.5000 0.0000 0.0000  8 Ir 2.73, 2 W 2.74, 2 Fe 2.74
Ir5 0.7503 0.2497 0.5000  2 Fe 2.73, 8 Ir 2.73-2.74, 2 W 2.74
Ir6 0.7503 0.7503 0.5000  2 Fe 2.73, 8 Ir 2.73-2.74, 2 W 2.74
W1 0.5000 0.5000 0.0000  12 Ir 2.74

Properties
The value obtained for the total magnetization is 3.97 μB per formula unit. The energy of formation is -0.21 eV/atom.

---

[4]
A plane-wave DFT calculation with GGA-PBE was carried out for a relaxed CrRuC3 crystal.

Cell lengths 3.9154, 3.9154, 3.9154 Å; angles 90.00, 90.00, 90.00 degrees
Last column: nearest neighbours and their distance in Å.
Fractional positions:
Cr1 0.0000 0.0000 0.0000  12 C 2.77
Ru1 0.5000 0.5000 0.5000  6 C 1.96
C1 0.0000 0.5000 0.5000  2 Ru 1.96
C2 0.5000 0.0000 0.5000  2 Ru 1.96
C3 0.5000 0.5000 0.0000  2 Ru 1.96

Properties
The value obtained for the total magnetization is 0.14 μB per formula unit. For the energy above the most stable polymorph in this dataset, the calculation gives 35.64 kJ/mol of atoms. The energy of formation is 2.43 eV/atom.

---

[5]
A plane-wave DFT calculation with GGA-PBE was carried out for a relaxed Zr2AlHgMo crystal.

Cell lengths 5.2021, 5.2021, 5.0523 Å; angles 90.00, 90.00, 90.00 degrees
Last column: nearest neighbours and their distance in Å.
Fractional positions:
Zr1 0.0000 0.5000 0.0000  2 Hg 2.60
Zr2 0.5000 0.0000 0.0000  2 Hg 2.60
Al1 0.0000 0.0000 0.5000  8 Zr 3.63, 4 Mo 3.68
Hg1 0.5000 0.5000 0.0000  2 Mo 2.53, 4 Zr 2.60
Mo1 0.5000 0.5000 0.5000  2 Hg 2.53

Properties
The value obtained for the total magnetization is 2.13 μB per formula unit. The energy of formation is 1.40 eV/atom.

---

[6]
A plane-wave DFT calculation with GGA-PBE was carried out for a relaxed PrDy8Tm6 crystal.

Cell lengths 9.3666, 9.3666, 6.4573 Å; angles 90.00, 90.00, 120.00 degrees
Last column: nearest neighbours and their distance in Å.
Fractional positions:
Pr1 0.0000 0.0000 0.0000  6 Tm 3.58